The BPO Workers’ Charter: Contextualising the Struggle

All India IT and ITeS Employees’ Union
Tech People
Published in
7 min readDec 25, 2021

By Satyavrat KK, AIITEU Bangalore

In our ‘Defy’ edition of Tech People, we carried an article by Subho Kumar Tamang, a member of AIITEU and a BPO worker, where he meticulously travailed the daily drudgery of working in the BPO industry at the cusp of India’s initial brutal lockdown. This was a time when the average Indian BPO worker saw their shifts unceremoniously extended, phones overheating due to relentless activity, callous retrenchments, and significantly lowered pay in the industry at large. Dangling a ‘work from home’ carrot, many companies have only proceeded in this manner in the year that has now passed since Subho wrote the article way back in November 2020. His concluding appeal was a simple one, “BPO employees are the backbone of the service economy, it is time to take a stand for ourselves.”

India has been a safe haven for the BPO industry since the 90s, with the IT-BPM industry standing at a value of USD 37.6 billion (2019–20), that is, Rs. 2.8 lakh crores approx. giving job opportunities to lakhs of young people in the country. It is also quite possible that the industry might reach up to USD 55.5 billion, that is, Rs. 3.9 lakh crores by 2025.

Illustrations: Katie Malone

Writing during the heyday of the Indian BPO boom in 2006, Amandeep Sandhu brings our attention to a few faultlines in the halcyon days of the industry, “BPO employees do not want to be part of trade unions because they associate the latter with “blue-collar workers” and not with their own perceived upward mobility. Also, their work schedules and the highly modernized self-contained work islands they inhabit encourage them to think of unions as unnecessary.”

A lot has changed since then, in the mindless pursuit of hyper-productivity many companies have left workers in the dust, adopting increasingly sophisticated surveillance mechanisms especially in the wake of the pandemic and the attendant work-from-home conditions that most IT companies were expected to abide by. Moreover, Amandeep Sandhu would now find that the consciousness of BPO workers has shifted in the opposite direction — for the better.

Illustrations: Katie Malone

In 2021, AIITEU conducted a consultation with BPO employees and released a charter of demands of BPO workers, demanding dignity, better working conditions, inter alia. As Subho willed, BPO workers did take a stand and we would implore the reader to read their demands in full, presented below:

1. Work hours

a. Many of us work between 9 to 10 hours a day, which affects our mental and physical health. Even in cases where formally work hours are set at 8 hours a day, unrealistic daily targets mean that most of us work far longer than that. Work hours should be limited to 6 hours a day with no reduction in pay.

b. We are given only one hour a day as a break, including lunch time. Our washroom visits are also counted as break time and we get no respite in the rest of the day. Break times should not include washroom visits, and should be flexible — we should be able to take breaks when we require them the most.

c. Workers who are subject to changes in work shifts should have only a 5-day week, as changing sleeping patterns effectively erases the one day of leave such workers get.

2. Leaves

Leave policies are often unclear and complicated. Leave policies should be consistent and clear.

3. Salary cycles

When we join a new organisation, the salary is only credited on the standard pay day — the salary for the days leading up to the first pay day is paid only right before we leave the organisation, and it is often withheld for spurious reasons. Salary cycles need to be fixed to eliminate these effectively unpaid days.

4. Work from home

Many of us have to pay for our own work-related equipment while working from home. The employer should cover the cost of work equipment.

5. Incentives

a. Parameters for our incentives are decided based on situations that are not in our control. Product deficiencies or client inefficiencies affect our incentives. Incentives should be designed with employee/worker inputs.

b. Our performance metrics are designed in such a way that targets are impossible to achieve. As team performance improves, targets are increased. This is an unsustainable model of work. Targets should be set such that at least 50% of workers are able to achieve them in the designated time.

c. Those of us who work in text-based chat jobs have to keep two chats active at a time. Our performance suffers due to such conditions. Work should be rationalised in these conditions.

d. Our supervisors and team leaders misbehave with us because their own targets are unrealistic. Employees are made to compete with one another for retaining their jobs. Employers and clients should work together to set realistic targets for all categories of employees.

6. Paying for work facilities

a. We have to use a locker to keep our personal belongings in while working. We are forced to pay for the use of this locker. The employer should bear the costs of work-related expenses such as lockers.

b. We are forced to pay for parking although there are parking facilities available in our buildings. Often our employers have agreements with parking providers that do not benefit us. Parking should be provided for free by employers.

c. Often, those of us who work night shifts are made to pay double the rate of transportation as the day shift workers. This is because the rate includes the pay for the night guard. The cost of the night guard should be borne by employers.

7. Data collection

a. We are not told what kinds of data are collected based on our work, and how we are tracked. We are nevertheless aware that very granular data is collected about our work patterns. This data should be shared with us because it is created due to our activity, it is about us, and will help us understand our own work patterns and track violations of our rights. The mismatch in data access between us and our employers disadvantages us by creating an information asymmetry. Data collection practices should be entirely transparent, and our data should be shared with us as well.

b. The tracking of our work is often intrusive and deeply violative of our privacy. There should be a limit on the kind and extent of tracking mechanisms used.

8. Abuse and harassment at the workplace

A culture of misogyny, verbal and physical abuse has been normalised at our workplaces. Workers, particularly women, face abuse from superiors and from clients. Workers who report abuse are met with bullying and intimidation. There should be a Gender Sensitisation Committee Against Sexual Harassment set up in each office with external representation.

9. Inclusivity

a. There are not enough washrooms in many of our offices. Women bear the brunt of this problem. Even during menstruation, workers’ washroom use is regulated and limited by supervisors and team leads. There should be adequate facilities in each office and period leave should be provided to all employees who need it.

b. Washrooms are segregated by seniority. Some washrooms are even password protected. All washrooms should be available to everyone in the work building at all times.

c. BPO work is particularly unfriendly to persons with disabilities. We are made to work like machines without breaks. A more accommodating work arrangement should be created to include all people.

# Records of crystals that have nothing to do with the page
<<<
[1]
Density functional theory data (PBE+U) for BaMnV2Ag2O8 after structural relaxation.

## Properties
Calculated formation energy, eV per atom: -2.12
V, Å³ per cell: 411
Total magnetization, μB per cell: 9.982

a = 5.6347 Å, b = 14.9452 Å, c = 5.6347 Å
α = 90.00°, β = 120.00°, γ = 90.00°
Last column: nearest neighbours and their distance in Å.
Element x y z (fractional)
O  0.2528  0.1591  0.9181  1 V 1.77
O  0.3347  0.3409  0.2528  1 V 1.77
O  0.9181  0.8409  0.6653  1 V 1.77
O  0.3333  0.0097  0.6667  1 V 1.71
O  0.0819  0.1591  0.3347  1 V 1.77
O  0.9181  0.3409  0.6653  1 V 1.77
O  0.7472  0.3409  0.0819  1 V 1.77
O  0.0819  0.6591  0.3347  1 V 1.77
O  0.6667  0.9903  0.3333  1 V 1.71
O  0.7472  0.8409  0.0819  1 V 1.77
O  0.6653  0.6591  0.7472  1 V 1.77
O  0.3333  0.5097  0.6667  1 V 1.71
O  0.3347  0.8409  0.2528  1 V 1.77
O  0.6653  0.1591  0.7472  1 V 1.77
O  0.6667  0.4903  0.3333  1 V 1.71
O  0.2528  0.6591  0.9181  1 V 1.77
Mn  0.0000  0.2500  0.0000  6 O 2.18
Mn  0.0000  0.7500  0.0000  6 O 2.18
V  0.3333  0.1241  0.6667  4 O 1.71-1.77
V  0.6667  0.8759  0.3333  4 O 1.71-1.77
V  0.6667  0.3759  0.3333  4 O 1.71-1.77
V  0.3333  0.6241  0.6667  4 O 1.71-1.77
Ag  0.3333  0.3455  0.6667  4 O 2.34-2.45
Ag  0.6667  0.1545  0.3333  4 O 2.34-2.45
Ag  0.6667  0.6545  0.3333  4 O 2.34-2.45
Ag  0.3333  0.8455  0.6667  4 O 2.34-2.45
Ba  0.0000  0.5000  0.0000  12 O 2.93-3.26
Ba  0.0000  0.0000  0.0000  12 O 2.93-3.26

[2]
Density functional theory data (PBE+U) for Rb2Mo2O5 after structural relaxation.

## Properties
Calculated formation energy, eV per atom: -1.72
Space-group type: No. 46
V, Å³ per cell: 295
Total magnetization, μB per cell: 8.001

a = 9.1913 Å, b = 9.1913 Å, c = 9.1913 Å
α = 142.03°, β = 141.57°, γ = 55.13°
Last column: nearest neighbours and their distance in Å.
Element x y z (fractional)
Rb  0.3713  0.8879  0.4826  7 O 2.70-2.95
Rb  0.9053  0.3879  0.5166  7 O 2.70-2.95
Rb  0.0947  0.6113  0.4826  7 O 2.70-2.95
Rb  0.6287  0.1113  0.5166  7 O 2.70-2.95
O  0.6622  0.6471  0.0360  1 Mo 1.95
O  0.8890  0.8738  0.0360  1 Mo 1.95
O  0.5799  0.4110  0.4909  2 Mo 1.89-2.01
O  0.4201  0.9110  0.8311  2 Mo 1.89-2.01
O  0.7428  0.7484  0.5032  2 Mo 2.08-2.18
O  0.1110  0.1471  0.9849  1 Mo 1.95
O  0.7452  0.2484  0.0056  2 Mo 2.08-2.18
O  0.2572  0.7604  0.0056  2 Mo 2.08-2.18
O  0.2548  0.2604  0.5032  2 Mo 2.08-2.18
O  0.3378  0.3738  0.9849  1 Mo 1.95
Mo  0.0000  0.0162  0.0162  6 O 2.08-2.23
Mo  0.3153  0.2079  0.0233  4 O 1.89-2.01
Mo  0.6847  0.7079  0.8926  4 O 1.89-2.01
Mo  0.5000  0.5162  0.0162  6 O 2.08-2.23

[3]
Density functional theory data (PBE+U) for ThMo2O8 after structural relaxation.

## Properties
Calculated formation energy, eV per atom: -2.65
Space-group type: No. 61
V, Å³ per cell: 1572

a = 10.1361 Å, b = 10.4104 Å, c = 14.8979 Å
α = 90.00°, β = 90.00°, γ = 90.00°
Last column: nearest neighbours and their distance in Å.
Element x y z (fractional)
Th  0.2191  0.4683  0.3914  8 O 2.37-2.47
>>>

d. The culture of abuse at BPOs ostracises those who are already marginalised on the basis of caste, religion, gender, sexuality, etc. There needs to be an overhaul of work culture for inclusivity.

e. Levels of education determine the rate of pay for the same kind of work. Discrimination based on education levels serves to divide the workforce along pre-existing societal faultlines, and should be stopped as a practice.

10. Rights of ancillary workers

Other workers at BPOs, such as sanitation workers, guards and canteen workers, are employed on the basis of precarious contracts. They face very high workloads and discrimination in access to work facilities such as washrooms and cafetarias. All workers should have similar access to facilities and job security.

We realise that our employers are subject to the vagaries of a competitive market.

Clients demand impossible targets from our employers, threatening them with moving to another BPO, and creating a race to the bottom in terms of our rights. We understand that unless we stand united against the violation of our own rights, this dynamic cannot change. We bear the entire burden of customer satisfaction for millions of goods and services provided around the world.

Illustrations: Katie Malone

As competition exists between employers, it also exists between nations in a world where capital can flow freely.

There is thus a race to the bottom among different nations as well, in terms of eroding workers’ rights. We draw inspiration from struggles of tech and tech-enabled workers from all over the world, and recognise that international worker solidarity is vital to ensure our rights are protected and a better world for workers is built.

We demand freedom from being treated like machines; we demand joy in work; we demand enough time outside work for us to be engaged and active citizens. With worker unity, we are confident that we can bring these demands to life.



All India IT and ITeS Employees’ Union
Tech People

AIITEU is a union for all employees/workers in the technology sector and all technology workers in other sectors.